Help Center> Application Performance Management> Getting Started> Subscribing to APM and Buying a Package
Updated on 2023-07-20 GMT+08:00

Subscribing to APM and Buying a Package

If you use Application Performance Management (APM) for the first time, subscribe to it first. The basic edition is used by default. It provides limited functions and applies to trial scenarios. You can switch editions and purchase packages as required. Professional, enterprise, and platinum editions of probe products, and professional edition of mesh products are available. For more information, see APM Pricing Details.

Subscription and Purchase Process

Subscribing to APM

  1. Log in to the management console.
  2. Choose Service List > Management & Deployment > Application Performance Management.

  3. Click Free opening.

Switching Editions

If an APM edition cannot meet your requirements, switch to a more advanced edition. You can also switch from an advanced version to an earlier version only once a month.

  1. On the Dashboard page of the APM console, click Switch Edition.
  2. On the page that is displayed, select the product type and specifications.

Inserted here: records of crystals =
! Na2Sc2CrO6 | Alexandria via LeMat-Bulk | PBE+U | optimized geometry; values from VASP
&SYSTEM
  ibrav = 0, nat = 11, ntyp = 4
/
ATOMIC_SPECIES
Na 22.99 Na.upf
Sc 44.96 Sc.upf
Cr 52.00 Cr.upf
O 16.00 O.upf
CELL_PARAMETERS angstrom
-1.462 3.613 -3.630
1.951 -4.673 -1.649
-5.300 -1.785 1.666
ATOMIC_POSITIONS angstrom
Na -0.910 2.272 -3.309
Na 1.399 -3.332 -1.970
Sc -1.847 -2.778 -1.483
Sc -2.964 -0.067 -2.131
Cr -2.650 -0.892 0.833
O -3.304 -2.030 -2.800
O -3.010 -2.761 0.335
O -1.507 -0.815 -0.814
O -4.085 -0.151 -0.289
O -1.800 -0.084 -3.948
O -0.726 -2.694 -3.325
! - density (g/cm3) = 3.4
! - E (eV per atom) = -7.264
! - V (Å³/f.u.) = 138.05

----------

[1]
VASP calculation (PBE) on a relaxed Tb4Bi crystal.

- density (g/cm³) = 7.07
- Fermi-level density of states (states/eV/atom) = 2.08
- energy of formation from the pure elements (meV/atom) = 296.7

Unit cell a=5.833 b=5.833 c=5.833 alpha=90.00 beta=90.00 gamma=90.00
Space group Pm-3m (No. 221)
Asymmetric unit:
Tb: 0.000 0.000 0.000 (multiplicity 1)
Tb: 0.000 0.500 0.500 (multiplicity 3)
Bi: 0.500 0.500 0.500 (multiplicity 1)



[2]
VASP calculation (PBE) on a relaxed Nb2Ge2H crystal.

- offset from the most stable computed form (meV/atom) = 0.0
- density (g/cm³) = 7.26
- Fermi-level density of states (states/eV/atom) = 1.08

Unit cell a=5.976 b=5.976 c=4.253 alpha=90.00 beta=90.00 gamma=90.00
Space group P4/mbm (No. 127)
Asymmetric unit:
Nb: 0.173 0.327 0.000 (multiplicity 4)
Ge: 0.149 0.649 0.500 (multiplicity 4)
H: 0.000 0.000 0.000 (multiplicity 2)



[3]
VASP calculation (PBE) on a relaxed FeB3Cl crystal.

- offset from the most stable computed form (meV/atom) = 0.0
- density (g/cm³) = 3.39
- Fermi-level density of states (states/eV/atom) = 0.58

Unit cell a=3.927 b=3.927 c=3.927 alpha=90.00 beta=90.00 gamma=90.00
Space group Pm-3m (No. 221)
Asymmetric unit:
Fe: 0.000 0.000 0.000 (multiplicity 1)
B: 0.000 0.000 0.500 (multiplicity 3)
Cl: 0.500 0.500 0.500 (multiplicity 1)



[4]
VASP calculation (PBE) on a relaxed CsMgMn2Br8 crystal.

- E_tot (eV/atom) = -3.8928
- density (g/cm³) = 3.65
- Fermi-level density of states (states/eV/atom) = 1.02

Unit cell a=6.9214 b=6.9214 c=9.9482 alpha=90.00 beta=90.00 gamma=120.00
Space group P-3 (No. 147)
Asymmetric unit:
Cs: 0.0000 0.0000 0.0000 (multiplicity 1)
Mg: 0.0000 0.0000 0.5000 (multiplicity 1)
Mn: 0.3333 0.6667 0.7242 (multiplicity 2)
Br: 0.0026 0.6852 0.3395 (multiplicity 6)
Br: 0.3333 0.6667 0.9650 (multiplicity 2)



[5]
VASP calculation (PBE) on a relaxed Sm5IrS4 crystal.

- E_tot (eV/atom) = -6.6214
- density (g/cm³) = 7.60
- Fermi-level density of states (states/eV/atom) = 0.48

Unit cell a=4.043 b=4.043 c=28.648 alpha=90.00 beta=90.00 gamma=90.00
Space group I4/mmm (No. 139)
Asymmetric unit:
Sm: 0.000 0.000 0.000 (multiplicity 2)
Sm: 0.000 0.000 0.203 (multiplicity 4)
Sm: 0.000 0.000 0.402 (multiplicity 4)
Ir: 0.000 0.000 0.500 (multiplicity 2)
S: 0.000 0.000 0.103 (multiplicity 4)
S: 0.000 0.000 0.302 (multiplicity 4)



[6]
End of the records of crystals =

  3. After learning the functions supported by the desired edition, click Change Now.

    • If you purchase a package and switch to a new edition, the number of probes in the purchased package is automatically converted to that under the new edition.
    • If you do not purchase any package and switch to a new edition, you will be billed on a pay-per-use basis.

Buying a Package

If you need to use APM for a long period, purchase a package so that you can use more functions and save more.

  1. On the Dashboard page of the APM console, click Buy Package.

  2. On the displayed page, specify Region, Product Type, Package Type, Specifications, and Required Duration.

    • Product Type: Mesh products are applicable to applications deployed in clusters of Istio mesh. Probe products are applicable to common applications, such as those deployed on VMs.
    • Package Type: The functions supported by each package are different. For details, see Package Details.
    • Specifications: indicates the number of probe instances in a package. An application process requires a probe. You can select specifications based on the total number of service processes. After a resource package expires, you will be billed on a pay-per-use basis for the resources used. If your account is in arrears, probes will no longer report data, affecting APM functions. For more information, see Renewal Details.

  3. Click Pay Now to buy the package.

    After buying the package, connect your applications to APM for monitoring according to Monitoring Java Applications.